Primary Malignancies Flashcards
What is the most common primary malignancy?
MM (27%) (then osteosarcoma then chondrosarcoma then Ewing’s)
Which primary malignancy is a proliferation of plasma cells which infiltrate the bone marrow?
What is the age range for MM?
5-8th decade (75% are of ages 50-70 years)
Which gender is more likely to have MM?
Which is more common: MM or metastasis?
Still metastasis….
Which two bone tumors are the only ones that are more common in females compared to males?
Hemangiomas and aneurysmal bone cyst (“bloody ones”)
What is the most common cause of death in patients with MM?
Recurrently bacterial infections
What is the primary rad finding for MM?
Deossification of bone
What is the usual presentation of a bone scan in those with MM?
What are some laboratory findings that can be seen with MM?
Elevated ESR, plasma proteins, serum calcium, and serum phosphorus with thrombocytopenia, and rouleaux formation
What is the rouleaux formation that is commonly seen with MM?
Stacks or aggregates of RBCs seen on blood smear
What protein finding is commonly seen in 80-90% of those with MM?
Protein electrophoresis with “M-spike”
Detection of which protein in the urine can be found in 40% of MM patients?
Bence Jones proteins
What is the best test for MM besides the obvious biopsy?
M-spike protein electrophoresis
What are the common locations for a solitary plasmacytoma?
Someone pasted records of crystals at this point:
Record 1
CeF3, relaxed, DFT PBE-GGA; magnetization = 1.00 μB per formula unit; total energy = -6.8786 eV per atom; crystal system = trigonal
1.0
7.181 0.000 0.000
-3.591 6.219 0.000
0.000 0.000 7.326
Ce F
6 18
direct
0.000 0.342 0.250
0.000 0.658 0.750
0.342 0.000 0.250
0.342 0.342 0.750
0.658 0.000 0.750
0.658 0.658 0.250
0.000 0.000 0.250
0.000 0.000 0.750
0.059 0.369 0.921
0.059 0.690 0.421
0.310 0.369 0.421
0.310 0.941 0.921
0.333 0.667 0.187
0.333 0.667 0.687
0.369 0.059 0.579
0.369 0.310 0.079
0.631 0.690 0.921
0.631 0.941 0.421
0.667 0.333 0.313
0.667 0.333 0.813
0.690 0.059 0.079
0.690 0.631 0.579
0.941 0.310 0.579
0.941 0.631 0.079

---

Record 2
CeF3, relaxed, DFT PBE-GGA; magnetization = 0.73 μB per formula unit; total energy = -6.7470 eV per atom; crystal system = hexagonal
1.0
7.178 0.000 0.000
-3.589 6.216 0.000
0.000 0.000 7.111
Ce F
6 18
direct
0.000 0.326 0.000
0.000 0.674 0.500
0.326 0.000 0.000
0.326 0.326 0.500
0.674 0.000 0.500
0.674 0.674 0.000
0.000 0.000 0.250
0.000 0.000 0.750
0.005 0.346 0.333
0.005 0.659 0.167
0.333 0.667 0.512
0.333 0.667 0.988
0.341 0.346 0.167
0.341 0.995 0.333
0.346 0.005 0.667
0.346 0.341 0.833
0.654 0.659 0.333
0.654 0.995 0.167
0.659 0.005 0.833
0.659 0.654 0.667
0.667 0.333 0.012
0.667 0.333 0.488
0.995 0.341 0.667
0.995 0.654 0.833

---

Record 3
CeF4, relaxed, DFT PBE-GGA; total energy = -6.4065 eV per atom; crystal system = monoclinic
1.0
6.405 -5.389 0.000
6.405 5.389 0.000
-4.941 0.000 6.772
Ce F
6 24
direct
0.212 0.788 0.750
0.224 0.369 0.171
0.369 0.224 0.671
0.631 0.776 0.329
0.776 0.631 0.829
0.788 0.212 0.250
0.000 0.500 0.000
0.029 0.723 0.848
0.066 0.173 0.455
0.173 0.066 0.955
0.185 0.596 0.427
0.260 0.318 0.895
0.261 0.503 0.718
0.277 0.971 0.652
0.318 0.260 0.395
0.396 0.604 0.250
0.404 0.815 0.073
0.497 0.739 0.782
0.500 0.000 0.500
0.503 0.261 0.218
0.596 0.185 0.927
0.604 0.396 0.750
0.682 0.740 0.605
0.723 0.029 0.348
0.739 0.497 0.282
0.740 0.682 0.105
0.815 0.404 0.573
0.827 0.934 0.045
0.934 0.827 0.545
0.971 0.277 0.152

---

Record 4
CeF3, relaxed, DFT PBE-GGA; magnetization = 1.00 μB per formula unit; total energy = -6.8514 eV per atom; crystal system = hexagonal
1.0
4.156 0.000 0.000
-2.078 3.599 0.000
0.000 0.000 7.319
Ce F
2 6
direct
0.333 0.667 0.250
0.667 0.333 0.750
0.000 0.000 0.250
0.000 0.000 0.750
0.333 0.667 0.578
0.333 0.667 0.922
0.667 0.333 0.078
0.667 0.333 0.422

---

Record 5
CeH12N5F4, relaxed, DFT PBE-GGA; magnetization = 3.00 μB per formula unit; energy above the most stable polymorph in this dataset = 0.000 eV per atom; crystal system = tetragonal
1.0
9.505 0.000 0.000
0.000 9.505 0.000
0.000 0.000 11.269
Ce H N F
4 48 20 16
direct
0.250 0.750 0.250
0.250 0.750 0.750
0.750 0.250 0.250
0.750 0.250 0.750
0.001 0.545 0.142
0.001 0.955 0.642
0.037 0.676 0.050
0.037 0.824 0.550
0.045 0.501 0.358
0.045 0.999 0.858
0.056 0.207 0.329
0.056 0.293 0.829
0.176 0.537 0.450
0.176 0.963 0.950
0.207 0.056 0.829
0.207 0.444 0.329
0.293 0.056 0.329
0.293 0.444 0.829
Vertebra > pelvis > skull > sternum > ribs
What is the term for a tumor that is a localized form of plasma cell proliferation?
Solitary plasmacytoma
How does a solitary plasmacytoma typically present?
Soap bubbly, highly expansile lesion
What is unique about the expansion of a solitary plasmacytoma in what it chooses to spare?
Posterior elements (of vertebrae)
What radiographic sign on an PA chest film can indicate a possible solitary plasmacytoma?
Extrapleural sign
What is an extrapleural sign?
Something in the pleural space pushing lungs inward
What type of thoracic spine change can be seen with solitary plasmacytomas of multiple levels?
Gibbus formation
What is the Gibbus formation?
Acute angular kyphotic thoracic spine changes causing wedges (think multiple solitary plasmacytomas)
“Rain drop skull” is associated with which neoplasm?
Multiple Myeloma
What is the best imaging used to detect MM?
Conventional radiography
How can an MRI help detect MM?
Marrow changes (2nd best test)
What is the cause of the appearance of a “rain drop skull” seen with MM?
Multiple holes of various sizes in the skull
In only what specific location of the body is cortical thinning considered a normal pattern of aging?
Deltoid tuberosity of the humerus
What type of MRI is best to be used for MM detection?
STIR (contrast enhanced T1)
What is usually the prognosis for MM?
Poor (5 year survival 20%)
Which tumor is a primary malignant tumor of undifferentiated connective tissue which forms neoplastic osteoid and is also the second most common primary malignant bone tumor overall?
What is the most common primary malignant bone tumor in children and young adults?
What is the age range for osteosarcoma?
BIMODAL: 10-25 and again after age 60
What is the most common form of osteosarcoma?
Do osteosarcomas grow slowly or quickly?
Osteosarcomas most commonly attack which joint of the body?
Knee (50%)
What is the most common location for an osteosarcoma?
Distal femur (40%) with 75% occurring in metaphysis next to growth plate
Are osteosarcomas usually lytic or blastic?
Blastic (50%)
Where is an osteosarcoma likely to metastasize to?
Lungs (cannonball metastasis)
What periosteal reaction is associated with an osteosarcoma?
Sunburst/Codman’s triangle
What is the area of a radiolucent line that can sometimes be seen between the long bone and the present osteosarcoma on X-ray?
“String sign” (shows that bone and tumor are not fully attached)
Why does the age range for osteosarcoma also include those over 60?
Secondly osteosarcomas can arise from Paget’s disease which has the age distribution of over 60
What is the third most common primary malignant bone tumor?
Chondrosarcoma (10%)
Chondrosarcomas can be found anywhere except for what location?
SKULL (think about it….skull is made from intramembranous ossification NOT endoCHONDRAL)
What is the age range for a chondrosarcoma?
Over 50
Do chondrosarcomas develop slowly or quickly?
What are some common locations of chondrosarcomas?
Proximal humerus, femoral neck, ribs/sternum, pelvis
What type of calcified appearance is seen with chondrosarcomas?
Popcorn matrix with C-shaped calcifications
Why must chondrosarcomas be treated by excision only?
Cartilage doesn’t typically respond to radiation and/or chemotherapy
What is the 4th most common primary malignant bone tumor?
Ewing’s sarcoma
What is the 2nd most common primary malignant bone tumor in children?
Ewing’s sarcoma
What is the age range for Ewing’s?
10-25 (peak at 15 years)
What is the most common location for Ewing’s?
Long tubular bones like the femur, tibia, humerus, fibula (60%) but the other 40% is in flat bones like the pelvis
Does Ewing’s have a better prognosis in long or flat bones?
Long bones
How can we differentiate Ewing’s from an osteosarcoma/
Ewing's = diaphysis Osteosarcoma = metaphysis
Is a Ewing’s sarcoma a blastic or lytic lesion?
What is the most identifiable radiographic finding of Ewing’s?
Onion-skin periosteal reaction
What observational clinical finding is commonly seen with patients who have a Ewing’s sarcoma?
Soft tissue mass and swelling (55%)
To where does Ewing’s commonly metastasis?
Skeleton (lungs would be second most common)